• Exercise:
What is needed: quote only the last part of the contents below, starting with the line that has "0.1162 0.3838".

• Given:
Below is an optimized crystal structure of BaLa2In2, with properties calculated at the PBE-GGA level.

Values from the calculation:
The space group is P4/mbm. The relative energy among the computed polymorphs is 0.000 eV/atom.

Cell lengths 9.6844, 9.6844, 3.6588 Å; angles 90.00, 90.00, 90.00 degrees
Last column: nearest neighbours and their distance in Å.
Sites, in units of the cell vectors:
1 In 0.1778 0.6778 0.5000  6 La 3.36-3.44, 2 In 3.66
2 La 0.6162 0.1162 0.0000  1 La 3.18, 6 In 3.36-3.44
3 Ba 0.5000 0.5000 0.0000  2 Ba 3.66, 4 La 3.88, 8 In 4.01
4 Ba 0.0000 0.0000 0.0000  2 Ba 3.66, 4 La 3.88, 8 In 4.01
5 In 0.6778 0.8222 0.5000  6 La 3.36-3.44, 2 In 3.66
6 La 0.3838 0.8838 0.0000  1 La 3.18, 6 In 3.36-3.44
7 La 0.1162 0.3838 0.0000  1 La 3.18, 6 In 3.36-3.44
8 La 0.8838 0.6162 0.0000  1 La 3.18, 6 In 3.36-3.44
9 In 0.3222 0.1778 0.5000  6 La 3.36-3.44, 2 In 3.66
10 In 0.8222 0.3222 0.5000  6 La 3.36-3.44, 2 In 3.66

---

Below is an optimized crystal structure of BaLa2In, with properties calculated at the PBE-GGA level.

Values from the calculation:
The space group is P2/m.

Cell lengths 5.8879, 3.8570, 6.5233 Å; angles 81.92, 90.00, 90.00 degrees
Last column: nearest neighbours and their distance in Å.
Sites, in units of the cell vectors:
1 La 0.0000 0.9719 0.9571  2 La 3.21-3.40, 2 In 3.40
2 In 0.5000 0.7500 0.7500  4 La 3.40, 2 Ba 3.55
3 Ba 0.5000 0.2500 0.2500  2 In 3.55, 4 La 3.75, 2 Ba 3.86
4 La 0.0000 0.5281 0.5429  2 La 3.21-3.40, 2 In 3.40

---

Below is an optimized crystal structure of BaLaIn2, with properties calculated at the PBE-GGA level.

Values from the calculation:
The space group is I-42d.

Cell lengths 9.2142, 9.2142, 7.4149 Å; angles 51.59, 51.59, 90.00 degrees
Last column: nearest neighbours and their distance in Å.
Sites, in units of the cell vectors:
1 Ba 0.5000 0.5000 0.0000  4 In 3.53, 2 La 3.54
2 La 0.7500 0.2500 0.5000  4 In 3.23, 2 Ba 3.54
3 In 0.1010 0.6250 0.2500  2 La 3.23, 2 Ba 3.53, 2 In 3.57
4 Ba 0.2500 0.7500 0.5000  4 In 3.53, 2 La 3.54
5 In 0.3750 0.3510 0.7500  2 La 3.23, 2 Ba 3.53, 2 In 3.57
6 In 0.8750 0.8990 0.7500  2 La 3.23, 2 Ba 3.53, 2 In 3.57
7 In 0.6490 0.1250 0.2500  2 La 3.23, 2 Ba 3.53, 2 In 3.57
8 La 0.0000 0.0000 0.0000  4 In 3.23, 2 Ba 3.54

---

no.,DFT formation energy (eV per atom),DFT total energy (eV/atom)
1,-0.366,-3.816
2,-0.113,-3.742
3,-0.045,-3.126

• Done:
7 La 0.1162 0.3838 0.0000  1 La 3.18, 6 In 3.36-3.44
8 La 0.8838 0.6162 0.0000  1 La 3.18, 6 In 3.36-3.44
9 In 0.3222 0.1778 0.5000  6 La 3.36-3.44, 2 In 3.66
10 In 0.8222 0.3222 0.5000  6 La 3.36-3.44, 2 In 3.66

---

Below is an optimized crystal structure of BaLa2In, with properties calculated at the PBE-GGA level.

Values from the calculation:
The space group is P2/m.

Cell lengths 5.8879, 3.8570, 6.5233 Å; angles 81.92, 90.00, 90.00 degrees
Last column: nearest neighbours and their distance in Å.
Sites, in units of the cell vectors:
1 La 0.0000 0.9719 0.9571  2 La 3.21-3.40, 2 In 3.40
2 In 0.5000 0.7500 0.7500  4 La 3.40, 2 Ba 3.55
3 Ba 0.5000 0.2500 0.2500  2 In 3.55, 4 La 3.75, 2 Ba 3.86
4 La 0.0000 0.5281 0.5429  2 La 3.21-3.40, 2 In 3.40

---

Below is an optimized crystal structure of BaLaIn2, with properties calculated at the PBE-GGA level.

Values from the calculation:
The space group is I-42d.

Cell lengths 9.2142, 9.2142, 7.4149 Å; angles 51.59, 51.59, 90.00 degrees
Last column: nearest neighbours and their distance in Å.
Sites, in units of the cell vectors:
1 Ba 0.5000 0.5000 0.0000  4 In 3.53, 2 La 3.54
2 La 0.7500 0.2500 0.5000  4 In 3.23, 2 Ba 3.54
3 In 0.1010 0.6250 0.2500  2 La 3.23, 2 Ba 3.53, 2 In 3.57
4 Ba 0.2500 0.7500 0.5000  4 In 3.53, 2 La 3.54
5 In 0.3750 0.3510 0.7500  2 La 3.23, 2 Ba 3.53, 2 In 3.57
6 In 0.8750 0.8990 0.7500  2 La 3.23, 2 Ba 3.53, 2 In 3.57
7 In 0.6490 0.1250 0.2500  2 La 3.23, 2 Ba 3.53, 2 In 3.57
8 La 0.0000 0.0000 0.0000  4 In 3.23, 2 Ba 3.54

---

no.,DFT formation energy (eV per atom),DFT total energy (eV/atom)
1,-0.366,-3.816
2,-0.113,-3.742
3,-0.045,-3.126